
CRank: 5Score: 12910

warhawk is probably going to be the best selling ps3 title for the next few weeks. the best buy deal in canada sold out in a few days and everybody i know is planning to buy it.

6238d ago 6 agree2 disagreeView comment

...you do realize sony is a lot more innovative than nintendo AND microsoft?

Dual analog controller?
CD, DVD, and Bluray drives in PS1, PS2 and PS3?
Double Trigger buttons?
Four button configuration?
Heck, Memory cards?

everybody copied everybody. suck it up. if nobody copied anybody, technology would cease to continue

6238d ago 2 agree0 disagreeView comment

echochrome and littlebigplanet just made your entire comment worthless.

at least sony has some new minds when it comes to games. all Microsoft can make is ANOTHER halo and a crappy PGR4 game to make $$$. First party microsoft developers cant do crap, which is why they throw money around to other developers for exclusivity.

if you can't beat em, pay em.

6238d ago 0 agree0 disagreeView comment


....look at MS. they pushed two PGR games in less time than GT5 is created, which means the hard work and concentration is put into GT games and not to make effing $$$ even thoguh they do.

warhawk did not get bad reviews, heck, nobody can review it properly yet because its not even released to the public yet.

and you do realize half the games on the 360 aren't even next gen. seriously, PDZ, kameo? viva pinata? burnout revenge? FF11 come on se...

6238d ago 0 agree0 disagreeView comment

resistance players buy warhawk
ps3 fanbase buys warhawk

warhawk is going to be the best selling ps3 game this year, everybody is getting it

6238d ago 1 agree0 disagreeView comment

i know everybody with resistance is getting this game.

im sure it'll sell millions of copies, its probably the most anticipated game this month for the ps3, plus it comes with a headset which a lot of ppl need

6239d ago 0 agree0 disagreeView comment

this demo alone could sell thousands this holiday in europe and australia.

mind you gran turismo is the best selling gaming franchise in europe next to PES and singstar.

6239d ago 4 agree0 disagreeView comment

ok sure lair got bad reviews and heavenly sword got OK reviews.

but seriously, how the frickin hell do you guys come up that warhawk got bad reviews? HOW THE HELL DO YOU REVIEW AN ONLINE ONLY GAME WHEN THE GAME HASNT BEEN RELEASED YET.

idiots. im going to assume PGR4, Lost odyssey, mass effect will all flop. oh yea, blue dragon did already.

6239d ago 0 agree1 disagreeView comment

MGO looks interesting. it could add a lot of new elements and team cooperation to win battles online. this doesnt look like your typical fragmatch, it looks very team based, communication and coordinated game

6239d ago 0 agree0 disagreeView comment

whatever it looks pretty and it'll sell consoles.
just play one cutscene in ebgames or something and tons of ppl will buy ps3s. they dont care how it plays or crap, it looks nice, they wont one, they get one for christmas.

case closed

6239d ago 1 agree0 disagreeView comment

• Materials data, kept here for reference:
-- begin --
Below is an optimized crystal structure of Mg5Pd, with properties calculated at the r²SCAN level.

Results
**Energy of formation**: -20.95 kJ per mole of atoms
**SG**: P-62m, No. 189
**Crystal system**: hexagonal
**Volume**: 19.25 Å³ per atom

Unit cell a=5.2589 b=5.2589 c=4.8219 alpha=90.00 beta=90.00 gamma=120.00
Positions (direct):
Mg  0.3130  0.0000  0.5000
Mg  0.6870  0.6870  0.5000
Mg  0.0000  0.3130  0.5000
Mg  0.3333  0.6667  0.0000
Mg  0.6667  0.3333  0.0000
-- stop --

actually, about the whole europe sales deal.

isn't GT5 prologue coming on PS3 for free? if they release it in europe before christmas, that single free PSN download could shift the minds of thousands of people in europe.

i mean, its the best graphics ever made in any console game. and its in the most popular franchise in the world too

6239d ago 0 agree2 disagreeView comment

lol GT5 has double that.

oh damn everybody said it already

**The piece is interrupted by calculated crystals**
+++
Entry 1:
Li3V24O58 | PBE+U | optimized geometry

a = 7.351 Å, b = 10.331 Å, c = 14.487 Å
α = 77.32°, β = 82.76°, γ = 89.98°
Sites, in units of the cell vectors:
Li  0.000  0.000  0.000
Li  0.143  0.866  0.461
Li  0.618  0.176  0.495
V  0.043  0.498  0.833
V  0.058  0.184  0.769
V  0.102  0.438  0.598
V  0.164  0.610  0.348
V  0.203  0.862  0.182
V  0.221  0.546  0.120
V  0.284  0.733  0.869
V  0.329  0.988  0.695
V  0.336  0.666  0.647
V  0.426  0.378  0.309
V  0.434  0.056  0.259
V  0.479  0.310  0.088
V  0.541  0.495  0.832
V  0.558  0.180  0.774
V  0.600  0.443  0.601
V  0.662  0.606  0.352
V  0.707  0.863  0.183
V  0.719  0.545  0.123
V  0.783  0.734  0.870
V  0.826  0.988  0.695
V  0.842  0.664  0.650
V  0.922  0.381  0.305
V  0.938  0.059  0.259
V  0.980  0.310  0.082
O  0.016  0.402  0.946
O  0.030  0.132  0.884
O  0.044  0.677  0.864
O  0.061  0.360  0.755
O  0.071  0.012  0.720
O  0.072  0.613  0.684
O  0.101  0.280  0.597
O  0.131  0.518  0.479
O  0.161  0.769  0.357
O  0.174  0.428  0.279
O  0.194  0.035  0.227
O  0.200  0.684  0.199
O  0.213  0.912  0.067
O  0.237  0.365  0.090
O  0.250  0.642  0.008
O  0.273  0.883  0.884
O  0.309  0.541  0.806
O  0.317  0.158  0.740
O  0.320  0.806  0.726
O  0.330  0.765  0.542
O  0.348  0.482  0.619
O  0.373  0.028  0.580
O  0.395  0.016  0.374
O  0.424  0.559  0.338
O  0.430  0.277  0.413
O  0.442  0.239  0.228
O  0.450  0.889  0.209
O  0.470  0.504  0.149
O  0.484  0.161  0.070
O  0.512  0.403  0.944
O  0.526  0.679  0.864
O  0.529  0.133  0.888
O  0.564  0.365  0.758
O  0.569  0.008  0.729
O  0.591  0.621  0.669
O  0.603  0.284  0.597
O  0.632  0.523  0.479
O  0.661  0.762  0.355
O  0.690  0.426  0.273
O  0.693  0.033  0.231
O  0.704  0.681  0.197
O  0.719  0.366  0.089
O  0.746  0.640  0.012
O  0.753  0.913  0.068
O  0.787  0.546  0.814
O  0.791  0.889  0.880
O  0.815  0.158  0.740
O  0.820  0.803  0.722
O  0.840  0.028  0.580
O  0.846  0.484  0.620
O  0.877  0.283  0.410
O  0.892  0.759  0.544
O  0.909  0.558  0.337
O  0.919  0.018  0.374
O  0.944  0.241  0.231
O  0.945  0.886  0.216
O  0.959  0.498  0.140
O  0.981  0.152  0.075

density: 3.4 g/cm3
total moment: 0.08 μB/atom
SG: P1
E_form: -2.340 eV per atom

Entry 2:
Li2VO2 | PBE+U | optimized geometry

a = 3.230 Å, b = 3.230 Å, c = 5.193 Å
α = 90.00°, β = 90.00°, γ = 120.00°
Sites, in units of the cell vectors:
Li  0.333  0.667  0.135
Li  0.667  0.333  0.865
V  0.000  0.000  0.500
O  0.333  0.667  0.740
O  0.667  0.333  0.260

density: 3.4 g/cm3
total moment: 0.60 μB/atom
SG: P-3m1
E_form: -2.052 eV per atom

Entry 3:
Li3V6O13 | PBE+U | optimized geometry

a = 6.310 Å, b = 8.005 Å, c = 10.376 Å
α = 90.00°, β = 100.01°, γ = 108.49°
Sites, in units of the cell vectors:
Li  0.011  0.253  0.031
Li  0.137  0.784  0.410
Li  0.138  0.284  0.413
Li  0.862  0.716  0.587
Li  0.863  0.216  0.590
Li  0.989  0.747  0.969
V  0.196  0.049  0.636
V  0.196  0.549  0.635
V  0.317  0.078  0.999
V  0.317  0.579  0.997
V  0.439  0.110  0.363
+++
**Here the piece continues**

6240d ago 2 agree1 disagreeView comment

even if the 360 gets a lot of base this christmas ps3 will catch up by next year.

but sony seriously needs to play their cards right with the pricing and games. the price is way too high and they should focus on dropping it down to at least 399 by next year. If the Ps3 and 360 were at the same price, there would be no next gen war. it was sony's fault they came in so late this time around.

6240d ago 5 agree6 disagreeView comment

AI needs work, other than that it looks really satisfying to shoot the helghast.

and satisfaction is key to success :D

6240d ago 0 agree0 disagreeView comment

Imagine playing a WII on that!!!

oh wait.


6240d ago 0 agree0 disagreeView comment

oh well the only games i really were gonna buy were

ratchet and clank

from trusted companies. these new exclusives have a chance of wooing fans into buying a ps3 but when 08 comes in, ps3s will be flying off shelves for MGS4 and GT5. trust me on that

6240d ago 0 agree0 disagreeView comment

GT haters? come on out and say no damage now.

6240d ago 6 agree0 disagreeView comment

6 for heavenly sword makes no sense, seems more like a 7 or 8

bioshock and warhawk are unexpected. 8 is a decent score for both because they're both amazing games in their own rights

6241d ago 0 agree0 disagreeView comment

exclusives are coming for sony as much as they are for microsoft. warhawk, heavenly sword, ratchet, uncharted are all great games due this holiday.

however, the biggest exclusives for ps3 and any console will come next year in 08 and its a fact. mgs4, kz2, gt5, tekken 6, gow 3, sequel to resistance and motorstorm? white knight story, possibly ff13 and more are ALL coming to ps3 in 08.

what the exclusives this year to ps3 are to 360
is what exclusives to 3...

6241d ago 2 agree0 disagreeView comment

beginning of 08 will see ps3 dominance. til then, 360 and wii wil be selling a lot more than the ps3, but hey, this was how the ps2 started out.

6241d ago 1 agree2 disagreeView comment